### Request
What is needed: transcribe the whole of the notes further below without additions.

### Input
┌──
No. 1
# PmY2Sn2, relaxed, DFT PBE
# Energy of formation from the pure elements = -627 meV/atom
# Crystal system = orthorhombic
data_PmY2Sn2
_cell_length_a 4.893
_cell_length_b 18.715
_cell_length_c 6.560
_cell_angle_alpha 90.00
_cell_angle_beta 90.00
_cell_angle_gamma 90.00
_symmetry_space_group_name_H-M 'C m c 21'
_symmetry_Int_Tables_number 36
loop_
_symmetry_equiv_pos_as_xyz
'x,y,z'
'-x,-y,z+1/2'
'-x,y,z'
'x,-y,z+1/2'
'x+1/2,y+1/2,z'
'-x+1/2,-y+1/2,z+1/2'
'-x+1/2,y+1/2,z'
'x+1/2,-y+1/2,z+1/2'
loop_
_atom_site_label
_atom_site_fract_x
_atom_site_fract_y
_atom_site_fract_z
Pm1 0.000 0.108 0.000
Y1 0.000 0.314 0.015
Y2 0.000 0.497 0.753
Sn1 0.000 0.073 0.504
Sn2 0.000 0.296 0.519



No. 2
# SmDy6Er6, relaxed, DFT PBE
# Energy of formation from the pure elements = 223 meV/atom
# Crystal system = monoclinic
data_SmDy6Er6
_cell_length_a 6.545
_cell_length_b 10.965
_cell_length_c 6.546
_cell_angle_alpha 90.00
_cell_angle_beta 115.38
_cell_angle_gamma 90.00
_symmetry_space_group_name_H-M 'P 1 2/m 1'
_symmetry_Int_Tables_number 10
loop_
_symmetry_equiv_pos_as_xyz
'x,y,z'
'-x,-y,-z'
'-x,y,-z'
'x,-y,z'
loop_
_atom_site_label
_atom_site_fract_x
_atom_site_fract_y
_atom_site_fract_z
Sm1 0.000 0.000 0.000
Dy1 0.000 0.335 0.000
Dy2 0.264 0.500 0.737
Dy3 0.355 0.000 0.643
Er1 0.000 0.226 0.500
Er2 0.500 0.226 0.000
Er3 0.500 0.301 0.500



No. 3
# PrNd3Ir2, relaxed, DFT PBE
# Energy of formation from the pure elements = -438 meV/atom
# Crystal system = monoclinic
# Polymorph energy (0 for the lowest one) = 119 meV per atom
data_PrNd3Ir2
_cell_length_a 16.818
_cell_length_b 5.362
_cell_length_c 7.399
_cell_angle_alpha 90.00
_cell_angle_beta 93.00
_cell_angle_gamma 90.00
_symmetry_space_group_name_H-M 'C 1 2/m 1'
_symmetry_Int_Tables_number 12
loop_
_symmetry_equiv_pos_as_xyz
'x,y,z'
'-x,-y,-z'
'-x,y,-z'
'x,-y,z'
'x+1/2,y+1/2,z'
'-x+1/2,-y+1/2,-z'
'-x+1/2,y+1/2,-z'
'x+1/2,-y+1/2,z'
loop_
_atom_site_label
_atom_site_fract_x
_atom_site_fract_y
_atom_site_fract_z
Pr1 0.195 0.000 0.345
Nd1 0.037 0.000 0.770
Nd2 0.103 0.500 0.515
Nd3 0.165 0.500 0.989
Ir1 0.010 0.500 0.183
Ir2 0.215 0.000 0.731



No. 4
# HfBAs2Pd, relaxed, DFT PBE
# Energy of formation from the pure elements = 1318 meV/atom
# Crystal system = tetragonal
data_HfBAs2Pd
_cell_length_a 5.093
_cell_length_b 5.093
_cell_length_c 5.047
_cell_angle_alpha 90.00
_cell_angle_beta 90.00
_cell_angle_gamma 90.00
_symmetry_space_group_name_H-M 'P 4/m m m'
_symmetry_Int_Tables_number 123
_symmetry_space_group_name_Hall '-P 4 2'
loop_
_atom_site_label
_atom_site_fract_x
_atom_site_fract_y
_atom_site_fract_z
Hf1 0.000 0.000 0.000
B1 0.500 0.500 0.500
As1 0.000 0.500 0.000
Pd1 0.000 0.000 0.500



No. 5
# Sm3ErTl3, relaxed, DFT PBE
# Energy of formation from the pure elements = -196 meV/atom
# Crystal system = hexagonal
# Polymorph energy (0 for the lowest one) = 66 meV per atom
data_Sm3ErTl3
_cell_length_a 9.5340
_cell_length_b 9.5340
_cell_length_c 5.3020
_cell_angle_alpha 90.00
_cell_angle_beta 90.00
_cell_angle_gamma 120.00
_symmetry_space_group_name_H-M 'P 63/m'
_symmetry_Int_Tables_number 176
_symmetry_space_group_name_Hall '-P 6c'
loop_
_atom_site_label
_atom_site_fract_x
_atom_site_fract_y
_atom_site_fract_z
Sm1 0.0027 0.2392 0.2500
Er1 0.3333 0.6667 0.2500
Tl1 0.0715 0.4520 0.7500



No. 6
# Dy2CuSe, relaxed, DFT PBE
# Crystal system = trigonal
# Formation energy from raw total energies = -0.87 eV per atom
# Polymorph energy (0 for the lowest one) = 140 meV per atom
data_Dy2CuSe
_cell_length_a 3.9421
_cell_length_b 3.9421
_cell_length_c 21.5269
_cell_angle_alpha 90.00
_cell_angle_beta 90.00
_cell_angle_gamma 120.00
_symmetry_space_group_name_H-M 'R 3 m'
_symmetry_Int_Tables_number 160
_symmetry_space_group_name_Hall 'R 3 -2"'
loop_
_atom_site_label
_atom_site_fract_x
_atom_site_fract_y
_atom_site_fract_z
Dy1 0.0000 0.0000 0.0000
Dy2 0.0000 0.0000 0.1777
Cu1 0.0000 0.0000 0.5883
Se1 0.0000 0.0000 0.7567



No. 7
# RbTlAu, relaxed, DFT PBE
└──

### Solution
No. 1
# PmY2Sn2, relaxed, DFT PBE
# Energy of formation from the pure elements = -627 meV/atom
# Crystal system = orthorhombic
data_PmY2Sn2
_cell_length_a 4.893
_cell_length_b 18.715
_cell_length_c 6.560
_cell_angle_alpha 90.00
_cell_angle_beta 90.00
_cell_angle_gamma 90.00
_symmetry_space_group_name_H-M 'C m c 21'
_symmetry_Int_Tables_number 36
loop_
_symmetry_equiv_pos_as_xyz
'x,y,z'
'-x,-y,z+1/2'
'-x,y,z'
'x,-y,z+1/2'
'x+1/2,y+1/2,z'
'-x+1/2,-y+1/2,z+1/2'
'-x+1/2,y+1/2,z'
'x+1/2,-y+1/2,z+1/2'
loop_
_atom_site_label
_atom_site_fract_x
_atom_site_fract_y
_atom_site_fract_z
Pm1 0.000 0.108 0.000
Y1 0.000 0.314 0.015
Y2 0.000 0.497 0.753
Sn1 0.000 0.073 0.504
Sn2 0.000 0.296 0.519



No. 2
# SmDy6Er6, relaxed, DFT PBE
# Energy of formation from the pure elements = 223 meV/atom
# Crystal system = monoclinic
data_SmDy6Er6
_cell_length_a 6.545
_cell_length_b 10.965
_cell_length_c 6.546
_cell_angle_alpha 90.00
_cell_angle_beta 115.38
_cell_angle_gamma 90.00
_symmetry_space_group_name_H-M 'P 1 2/m 1'
_symmetry_Int_Tables_number 10
loop_
_symmetry_equiv_pos_as_xyz
'x,y,z'
'-x,-y,-z'
'-x,y,-z'
'x,-y,z'
loop_
_atom_site_label
_atom_site_fract_x
_atom_site_fract_y
_atom_site_fract_z
Sm1 0.000 0.000 0.000
Dy1 0.000 0.335 0.000
Dy2 0.264 0.500 0.737
Dy3 0.355 0.000 0.643
Er1 0.000 0.226 0.500
Er2 0.500 0.226 0.000
Er3 0.500 0.301 0.500



No. 3
# PrNd3Ir2, relaxed, DFT PBE
# Energy of formation from the pure elements = -438 meV/atom
# Crystal system = monoclinic
# Polymorph energy (0 for the lowest one) = 119 meV per atom
data_PrNd3Ir2
_cell_length_a 16.818
_cell_length_b 5.362
_cell_length_c 7.399
_cell_angle_alpha 90.00
_cell_angle_beta 93.00
_cell_angle_gamma 90.00
_symmetry_space_group_name_H-M 'C 1 2/m 1'
_symmetry_Int_Tables_number 12
loop_
_symmetry_equiv_pos_as_xyz
'x,y,z'
'-x,-y,-z'
'-x,y,-z'
'x,-y,z'
'x+1/2,y+1/2,z'
'-x+1/2,-y+1/2,-z'
'-x+1/2,y+1/2,-z'
'x+1/2,-y+1/2,z'
loop_
_atom_site_label
_atom_site_fract_x
_atom_site_fract_y
_atom_site_fract_z
Pr1 0.195 0.000 0.345
Nd1 0.037 0.000 0.770
Nd2 0.103 0.500 0.515
Nd3 0.165 0.500 0.989
Ir1 0.010 0.500 0.183
Ir2 0.215 0.000 0.731



No. 4
# HfBAs2Pd, relaxed, DFT PBE
# Energy of formation from the pure elements = 1318 meV/atom
# Crystal system = tetragonal
data_HfBAs2Pd
_cell_length_a 5.093
_cell_length_b 5.093
_cell_length_c 5.047
_cell_angle_alpha 90.00
_cell_angle_beta 90.00
_cell_angle_gamma 90.00
_symmetry_space_group_name_H-M 'P 4/m m m'
_symmetry_Int_Tables_number 123
_symmetry_space_group_name_Hall '-P 4 2'
loop_
_atom_site_label
_atom_site_fract_x
_atom_site_fract_y
_atom_site_fract_z
Hf1 0.000 0.000 0.000
B1 0.500 0.500 0.500
As1 0.000 0.500 0.000
Pd1 0.000 0.000 0.500



No. 5
# Sm3ErTl3, relaxed, DFT PBE
# Energy of formation from the pure elements = -196 meV/atom
# Crystal system = hexagonal
# Polymorph energy (0 for the lowest one) = 66 meV per atom
data_Sm3ErTl3
_cell_length_a 9.5340
_cell_length_b 9.5340
_cell_length_c 5.3020
_cell_angle_alpha 90.00
_cell_angle_beta 90.00
_cell_angle_gamma 120.00
_symmetry_space_group_name_H-M 'P 63/m'
_symmetry_Int_Tables_number 176
_symmetry_space_group_name_Hall '-P 6c'
loop_
_atom_site_label
_atom_site_fract_x
_atom_site_fract_y
_atom_site_fract_z
Sm1 0.0027 0.2392 0.2500
Er1 0.3333 0.6667 0.2500
Tl1 0.0715 0.4520 0.7500



No. 6
# Dy2CuSe, relaxed, DFT PBE
# Crystal system = trigonal
# Formation energy from raw total energies = -0.87 eV per atom
# Polymorph energy (0 for the lowest one) = 140 meV per atom
data_Dy2CuSe
_cell_length_a 3.9421
_cell_length_b 3.9421
_cell_length_c 21.5269
_cell_angle_alpha 90.00
_cell_angle_beta 90.00
_cell_angle_gamma 120.00
_symmetry_space_group_name_H-M 'R 3 m'
_symmetry_Int_Tables_number 160
_symmetry_space_group_name_Hall 'R 3 -2"'
loop_
_atom_site_label
_atom_site_fract_x
_atom_site_fract_y
_atom_site_fract_z
Dy1 0.0000 0.0000 0.0000
Dy2 0.0000 0.0000 0.1777
Cu1 0.0000 0.0000 0.5883
Se1 0.0000 0.0000 0.7567



No. 7
# RbTlAu, relaxed, DFT PBE